A run which been criticised heavily by alot of Bloggers and those season runners.This run been joined by Chan,Lim and me.I knew that from the starting its been really hard to get inside placing for my men open category so as Chan.While Lim in his Half Marathon event was only targeting to finish in a best time.
Records of molecules, kept here for reference:
+++
DFT (ωB97M-V/def2-TZVPD) results for a 12-piece molecular cluster, C76H184N12O21 overall.

```
293
Properties=species:S:1:pos:R:3:mulliken_charge:R:1
C 0.573 2.276 -1.745 -0.70
C 0.095 0.950 -2.412 3.15
C -0.744 0.018 -1.469 -1.24
O 0.164 -0.615 -0.533 0.59
C -0.434 -1.418 0.413 -0.81
N -0.748 1.312 -3.540 1.00
H -0.342 2.836 -1.553 -0.62
H 1.238 2.852 -2.388 0.68
H 1.003 2.164 -0.750 -0.30
H 0.938 0.405 -2.838 -0.97
H -1.309 -0.728 -2.028 0.65
H -1.507 0.622 -0.979 -0.37
H -0.573 -2.360 -0.118 0.36
H -1.421 -1.142 0.784 0.19
H 0.121 -1.459 1.351 -0.04
H -0.220 1.927 -4.143 -0.45
H -0.892 0.566 -4.205 -0.88
C 1.125 6.936 9.349 -0.69
O 0.748 6.819 8.015 -0.33
C 1.670 5.986 7.292 -0.60
C 1.016 5.664 5.942 -0.47
N 0.624 6.905 5.158 -0.41
C -0.396 6.638 4.143 -0.76
C 0.153 6.047 2.836 0.16
O -0.848 5.985 1.855 -0.41
C -0.345 5.490 0.569 -0.44
H 2.176 7.192 9.481 0.31
H 1.008 5.973 9.846 0.22
H 0.526 7.694 9.853 0.25
H 1.855 5.031 7.784 0.40
H 2.514 6.645 7.087 0.35
H 0.109 5.066 6.032 0.37
H 1.716 5.148 5.285 0.17
H 0.280 7.521 5.880 0.33
H -0.910 7.543 3.819 0.42
H -1.241 6.042 4.488 0.36
H 0.604 5.091 3.101 -0.19
H 0.996 6.639 2.480 0.34
H -1.162 5.441 -0.151 0.08
H -0.176 4.415 0.631 0.07
H 0.500 6.065 0.192 0.49
C 1.260 6.211 -3.604 -0.49
O -0.054 6.210 -4.105 -0.56
C -0.674 4.921 -4.241 1.53
C -2.064 5.061 -4.893 -1.48
N -2.674 3.804 -5.198 1.74
C -3.881 4.004 -5.967 -0.98
C -4.482 2.762 -6.703 0.12
O -5.878 2.913 -6.996 -0.42
C -6.124 3.707 -8.168 -0.74
H 1.470 7.267 -3.436 0.36
H 2.008 5.842 -4.306 0.24
H 1.162 5.608 -2.702 0.11
H -0.749 4.456 -3.258 -0.80
H -0.084 4.338 -4.948 -0.08
H -1.845 5.513 -5.860 0.54
H -2.580 5.778 -4.254 0.25
H -2.943 3.312 -4.358 -0.67
H -3.693 4.772 -6.717 0.76
H -4.653 4.396 -5.306 0.26
H -4.436 2.031 -5.895 -0.31
H -3.808 2.387 -7.473 0.20
H -7.179 3.559 -8.401 0.30
H -5.441 3.495 -8.991 0.29
H -6.042 4.784 -8.022 0.28
C -8.838 -6.076 4.904 -0.54
O -8.669 -5.540 3.614 -0.32
C -8.711 -6.570 2.599 -0.63
C -8.700 -5.881 1.205 -0.77
N -7.310 -5.522 0.748 -0.29
C -7.404 -4.806 -0.533 -0.70
C -6.003 -4.408 -1.099 -0.68
O -5.609 -3.249 -0.297 -0.34
C -4.557 -2.487 -0.810 -0.94
H -7.916 -6.580 5.192 0.06
H -9.684 -6.763 4.920 0.40
H -9.097 -5.275 5.596 0.24
H -9.729 -6.948 2.693 0.58
H -8.112 -7.477 2.671 0.30
H -9.218 -4.930 1.326 0.33
H -9.275 -6.513 0.529 0.43
H -6.738 -5.020 1.412 0.16
H -8.001 -3.909 -0.366 0.36
H -7.868 -5.478 -1.255 0.40
H -6.054 -4.008 -2.111 0.50
H -5.294 -5.232 -1.016 0.32
H -4.834 -2.008 -1.750 0.49
H -3.748 -3.099 -1.209 0.47
H -4.047 -1.766 -0.171 0.13
C -2.345 -1.948 -4.705 -0.42
O -1.515 -1.245 -5.598 -0.23
C -2.302 -0.378 -6.418 -0.73
C -1.422 0.445 -7.444 -0.91
N -0.812 1.618 -6.833 1.45
C -0.021 2.398 -7.706 -0.26
C -0.773 3.322 -8.717 -0.50
O -1.166 2.723 -9.899 -0.48
C -0.133 1.991 -10.528 -0.78
H -3.080 -2.557 -5.232 0.40
H -2.807 -1.215 -4.044 -0.12
H -1.736 -2.613 -4.092 0.30
H -3.064 0.150 -5.845 0.12
H -2.913 -1.094 -6.967 0.73
H -2.101 0.749 -8.240 0.55
+++
We(Lim and me)reached Medan Gopeng at 4.30am on sunday morning, and Chan drived us to his home to rest a while.Then the sky start to rain cat and dog which make us felt more scarry about the run!
**Next to the piece, the page also holds calculated molecules**
<<<
1.
Entry from the Open Molecules 2025 dataset: C20H28BaN5O4PSe4 as an isolated structure in a non-equilibrium geometry (the ωB97M-V functional and the def2-TZVPD basis).

```
! wB97M-V def2-TZVPD RIJCOSX def2/J DEFGRID3
* xyz -2 1
Ba -0.618 0.025 -0.052
Se -1.084 -1.950 -4.481
Se -2.157 -1.333 -2.476
Se -3.928 0.178 -2.845
Se 0.536 -0.320 -4.955
P -3.347 0.785 1.235
O 2.061 -2.446 4.460
O -0.547 2.095 0.801
O -0.075 4.320 0.616
O -0.816 -1.782 1.573
N -1.314 2.038 -1.820
N -0.731 3.178 -1.221
N 1.237 -1.219 2.530
N 1.408 -0.420 1.410
N 1.763 0.842 -0.949
C -0.513 -4.739 5.596
C -5.210 2.988 1.080
C 2.470 1.272 0.117
C -1.532 -4.504 4.667
C -0.110 -2.883 3.564
C -4.862 -0.251 1.132
C -4.593 -1.740 1.417
C 2.303 0.474 1.387
C -2.580 0.258 3.917
C 2.736 2.576 -2.277
C -0.433 3.233 0.158
C 0.895 -3.113 4.508
C 1.908 1.464 -2.125
C 0.079 -1.910 2.450
C 3.305 2.364 0.039
C 0.688 -4.053 5.521
C -3.963 2.344 0.468
C -1.312 -3.578 3.658
C 3.425 3.035 -1.174
C -3.273 1.287 3.011
H 1.488 -4.222 6.235
H 2.937 0.688 2.247
H 1.978 -1.828 3.683
H -6.064 2.304 1.067
H -5.474 -2.350 1.196
H -3.117 -0.694 3.953
H -2.474 -5.033 4.729
H -4.142 2.078 -0.580
H -3.128 3.051 0.482
H -4.277 1.516 3.377
H -5.502 3.882 0.518
H -2.312 2.134 -1.982
H 2.819 3.055 -3.244
H -5.048 3.300 2.118
H -3.773 -2.120 0.804
H -2.063 -3.365 2.904
H -5.196 -0.144 0.095
H 1.357 1.039 -2.974
H -0.851 4.078 -1.652
H 4.061 3.910 -1.240
H -2.497 0.626 4.945
H -4.321 -1.916 2.463
H -0.659 -5.467 6.388
H -5.648 0.137 1.788
H -1.567 0.035 3.571
H -2.697 2.217 3.019
H 3.834 2.700 0.923
H -0.883 1.837 -2.719
*
```

ΔE to the lowest compared entry with this formula, charge and spin: 70.0 kJ/mol
E_HOMO: -0.98 eV
LUMO level: 4.1 eV

2.
Entry from the Open Molecules 2025 dataset: C20H28Cl4NO2PdSi3 as an isolated structure in a non-equilibrium geometry (the ωB97M-V functional and the def2-TZVPD basis).

```
! wB97M-V def2-TZVPD RIJCOSX def2/J DEFGRID3
* xyz 1 1
Pd 0.282 0.710 0.135
Cl -2.612 6.567 2.868
Cl 0.396 2.643 5.070
Cl -1.475 5.170 5.323
Cl -2.004 5.543 -0.053
Si -2.229 -0.722 -1.000
Si -0.022 -2.010 1.048
Si 0.824 -1.169 -1.950
O -0.301 3.127 0.066
O 0.741 1.927 2.226
N 2.285 0.657 -0.517
C -1.071 4.518 3.815
C -2.808 -2.091 -2.115
C -1.393 4.796 1.345
C -2.392 0.930 -1.856
C 4.807 -0.017 -1.397
C 2.437 -0.385 -1.382
C 0.049 2.894 2.405
C -3.303 -0.649 0.517
C -0.274 3.445 3.732
C -0.784 -1.232 2.570
C 3.702 -0.736 -1.832
C 0.345 -0.166 -3.436
C 4.627 1.036 -0.516
C -0.554 3.601 1.141
C -0.428 -1.134 -0.575
C 3.348 1.338 -0.092
C -0.713 -3.732 0.886
C -1.640 5.211 2.594
C 1.172 -2.926 -2.456
C 1.817 -2.109 1.332
H -1.745 1.724 -1.472
H -0.304 -4.253 0.016
H 3.158 2.144 0.606
H -0.773 -0.140 2.604
H -0.580 -0.519 -3.898
H -4.327 -0.434 0.197
H 3.822 -1.569 -2.513
H 0.233 -3.430 -2.702
H -3.003 0.141 1.211
H -3.320 -1.591 1.069
H 5.465 1.615 -0.153
H -3.867 -1.971 -2.361
H -0.477 -4.320 1.778
H 2.000 -2.780 2.177
H 1.649 -3.485 -1.646
H 2.361 -2.508 0.472
H -3.425 1.266 -1.725
>>>
Cold weather is our main enemy rather our normal enemy of other runners!Even when we reached Stadium Indera Mulia the weather condition still no change at all at time around 6.45am.I can saw alot of Kenyan runner and Thai runner.So the organiser announce that they will delay 15mins of the starting time.A step which to hope the raining will stop,anyway when time is around 7am the condition still much or less same as before.
The worst part come where alot of blogger n runner criticised the most.This all because of the reluctant of the organiser to start at 7am then they choose to start the race at 7.30am!This will only make the matter worst as we all are standing while raining!Imagine how we all feel when asking you standing for 30mins in this kind of condition!Shivering is something you cant avoid,some how we all mostly wearing the vest and running short!So in this part organiser already failed to take care the wellfare of runner!
Then during the running route i can only say the most confusing part is during the kilometre 2 where runner either have to turn right or go straight,if you turn right you will head to 21km route while go straight is 10km route.Anyway i was making correct decision by follwing runner in front of me.
Then the finishing part is where i felt that something that organiser should make of such kind of lousy mistake!When runners finish their route just direct give them their finisher medal rather than asking finisher to go que up to the close by booth to take their medal,this only make the matter worst!why???because when the 10km and 21km guys finish their races,those kid running in 7km n 5km already reach their finishing line and they also wan to take their medal and certificate!SO every1 were in so kelam kabut condition to grap their needy!For those finish early its ok,but for those finish abit late they need to wait and suffer alot because of this lousy system set by organiser and Perak Athletic Association!
The worst part coming.I think almost the organiser of arious run in malaysia are making such fooly mistake during giving away the prizes of those placing 4th a below.Never have a systematic way of let each group winner to que up and take their cash prizes respectively.They just ask the category as they like then the winner will only be let to go inside the prizes desk!
For me?Finished in 7th in men open will need to wait untill all other categories given away all their prizes then wait for another half an hours only the organiser dare to give us prizes!Why?All because of the protest done by the top runner which running intio wrong route then complaining about it,yet organiser just so bodoh dunno how to make decision and so late only to release the final results.Is it the organiser scare of the protest runner?Running into wrong route can only have yourself to be blame of although you can say organiser didnt put proper marshal of showing the way,but why we and other winner run into correct route?So just think logically about it.
Someone pasted quantum chemistry results at this point:
~~~
ORCA calculation (ωB97M-V/def2-TZVPD) on a cluster of 11 separate species, C21H64O11 in total at a distorted geometry.

Structure (XYZ):
```
96
Properties=species:S:1:pos:R:3:mulliken_charge:R:1
C 1.024 -0.045 0.686 -0.525
O -0.113 0.145 1.599 -0.495
H 0.966 -0.980 0.130 0.249
H 0.948 0.736 -0.070 0.244
H 2.024 0.028 1.114 0.233
H -0.891 -0.075 1.082 0.293
C 3.474 -6.275 3.922 -1.024
C 1.993 -6.697 3.972 -0.178
O 1.817 -7.915 3.355 -0.519
H 3.625 -5.268 4.312 0.329
H 3.802 -6.328 2.884 0.274
H 4.140 -6.908 4.509 0.287
H 1.366 -5.945 3.493 0.246
H 1.625 -6.769 4.996 0.278
H 0.947 -8.248 3.586 0.307
C 1.987 -0.559 7.486 -0.960
C 0.520 -0.884 7.612 -0.240
O -0.261 0.137 7.160 -0.511
H 2.252 -0.651 6.432 0.285
H 2.642 -1.216 8.059 0.317
H 2.179 0.459 7.824 0.277
H 0.254 -1.000 8.663 0.279
H 0.254 -1.801 7.086 0.246
H -0.127 0.155 6.210 0.306
C -2.257 6.396 -0.925 -1.011
C -2.594 6.916 -2.309 -0.247
O -2.907 8.254 -2.050 -0.521
H -3.117 6.435 -0.257 0.267
H -1.377 6.867 -0.486 0.339
H -1.935 5.357 -1.001 0.317
H -3.376 6.321 -2.783 0.319
H -1.623 6.899 -2.804 0.226
H -2.086 8.671 -1.778 0.312
C 7.431 -2.097 -1.767 -0.999
C 8.164 -1.723 -0.467 -0.188
O 8.089 -0.313 -0.278 -0.505
H 7.978 -1.826 -2.670 0.272
H 6.482 -1.561 -1.743 0.282
H 7.186 -3.158 -1.811 0.320
H 9.193 -2.064 -0.583 0.284
H 7.713 -2.235 0.383 0.220
H 8.998 -0.058 -0.107 0.314
C 4.634 3.744 -7.304 -1.019
C 4.907 4.095 -5.861 -0.184
O 3.804 3.700 -5.059 -0.522
H 4.478 2.666 -7.337 0.261
H 5.490 3.939 -7.950 0.337
H 3.714 4.166 -7.709 0.287
H 5.122 5.147 -5.677 0.284
H 5.757 3.570 -5.424 0.260
H 4.075 3.914 -4.163 0.296
C -5.547 -6.887 -0.339 -0.911
C -4.038 -6.801 -0.309 -0.261
O -3.549 -5.775 -1.199 -0.523
H -5.915 -7.781 0.165 0.312
H -5.929 -6.904 -1.360 0.270
H -6.013 -6.041 0.167 0.283
H -3.543 -7.733 -0.581 0.289
H -3.636 -6.614 0.687 0.247
H -3.735 -4.914 -0.818 0.295
C 4.410 4.232 3.641 -0.999
C 5.008 5.047 2.456 -0.271
O 4.824 4.281 1.328 -0.483
H 3.382 4.003 3.358 0.258
H 4.260 4.799 4.559 0.339
H 5.050 3.373 3.841 0.320
H 6.046 5.210 2.747 0.227
H 4.457 5.984 2.376 0.306
H 5.366 3.492 1.402 0.302
C -6.489 1.895 4.113 -1.122
C -6.989 0.555 4.641 -0.118
O -7.367 -0.150 3.476 -0.499
H -7.233 2.386 3.486 0.307
H -5.612 1.861 3.466 0.278
H -6.344 2.670 4.866 0.355
H -7.859 0.697 5.282 0.293
H -6.182 0.033 5.156 0.219
H -8.019 -0.788 3.774 0.287
C -1.563 -1.226 -7.919 -0.997
C -0.671 -0.531 -6.861 -0.174
O -0.749 0.908 -6.974 -0.535
H -2.525 -0.715 -7.962 0.276
H -1.646 -2.305 -7.784 0.329
H -1.194 -1.153 -8.942 0.281
H 0.360 -0.797 -7.092 0.233
H -0.798 -0.860 -5.829 0.289
H 0.006 1.299 -6.528 0.299
C -7.179 -0.404 -2.820 -0.918
C -5.964 0.343 -2.270 -0.259
O -5.302 -0.432 -1.226 -0.498
H -6.895 -1.228 -3.474 0.239
H -7.831 0.265 -3.381 0.317
H -7.797 -0.805 -2.017 0.299
H -6.265 1.328 -1.914 0.253
H -5.222 0.561 -3.038 0.278
H -5.962 -0.493 -0.532 0.289
```

Properties
* energy relative to the best compared isomer or geometry (same formula, charge and spin): 524.3 kJ/mol
~~~
Then i only got my cash and medal at around 1pm.....so late!Lim and Chan been waiting for me till they felt sleepy...Sorry to them...This is my maiden run of Ipoh Run and i already making 2 record of mine which first i break my own 10km road running time of which i achieved 36mins 40secs,Chan get in 43rd with time of 42-43mins.Lim in 77th of time 1 hour and 36 min.
I have to say this is first time i got such big amount of cash pay out of Rm600.As compare to Ida sure i lost alot to her.But for my personal its been a quite alot for me ler.
Then we trio back at 930pm reach utm at around 5am monday morning....zzzz i think i had written alot ler.Any1 wanna help me continue or put some extra infos inside???